Wanted:
Repeat all of the rows below verbatim.
Data:
+++
1.
Na15Mg7Ta5P18O72: optimized geometry, GGA-PBE.

Computed properties:
VASP energy: -7.09 eV per atom
ρ: 3.42 g cm⁻³
Spin magnetization: 0.00 μB per formula unit
Symmetry: P1, No. 1

a b c (Å): 8.891 8.854 22.276
angles (deg): 89.96 90.20 119.84
Element x y z (fractional)
Na: 0.987 0.631 0.245
Na: 0.648 0.636 0.748
Na: 0.988 0.351 0.748
Na: 0.364 0.012 0.748
Na: 0.296 0.334 0.585
Na: 0.039 0.705 0.586
Na: 0.666 0.962 0.585
Na: 0.655 0.689 0.079
Na: 0.320 0.024 0.412
Na: 0.989 0.999 0.495
Na: 0.010 0.009 0.989
Na: 0.667 0.333 0.833
Na: 0.664 0.330 0.323
Na: 0.331 0.667 0.156
Na: 0.334 0.667 0.663
Mg: 0.994 0.000 0.352
Mg: 0.000 0.000 0.853
Mg: 0.000 0.000 0.651
Mg: 0.667 0.333 0.684
Mg: 0.661 0.327 0.185
Mg: 0.327 0.666 0.019
Mg: 0.334 0.667 0.516
Ta: 0.004 0.007 0.145
Ta: 0.666 0.330 0.979
Ta: 0.672 0.338 0.478
Ta: 0.338 0.665 0.312
Ta: 0.333 0.666 0.819
P: 0.294 0.006 0.254
P: 0.713 0.711 0.251
P: 0.997 0.288 0.253
P: 0.293 0.294 0.750
P: 0.001 0.707 0.750
P: 0.705 0.999 0.750
P: 0.961 0.335 0.585
P: 0.374 0.040 0.584
P: 0.665 0.626 0.585
P: 0.960 0.622 0.087
P: 0.663 0.042 0.086
P: 0.379 0.335 0.085
P: 0.630 0.670 0.921
P: 0.041 0.371 0.920
P: 0.329 0.959 0.920
P: 0.628 0.956 0.419
P: 0.330 0.373 0.420
P: 0.043 0.668 0.418
O: 0.211 0.020 0.311
O: 0.826 0.796 0.305
O: 0.978 0.183 0.307
O: 0.206 0.176 0.803
O: 0.971 0.794 0.803
O: 0.823 0.029 0.803
O: 0.769 0.954 0.691
O: 0.185 0.231 0.691
O: 0.045 0.815 0.691
O: 0.796 0.827 0.193
O: 0.028 0.200 0.195
O: 0.166 0.969 0.198
O: 0.880 0.364 0.640
O: 0.486 0.123 0.639
O: 0.637 0.516 0.641
O: 0.877 0.524 0.144
O: 0.644 0.127 0.140
O: 0.491 0.364 0.139
O: 0.467 0.303 0.028
O: 0.832 0.531 0.031
O: 0.694 0.160 0.028
O: 0.472 0.160 0.527
O: 0.688 0.524 0.529
O: 0.837 0.313 0.529
O: 0.543 0.687 0.976
O: 0.152 0.463 0.973
O: 0.314 0.850 0.973
O: 0.545 0.858 0.476
O: 0.311 0.454 0.476
O: 0.150 0.693 0.474
O: 0.133 0.638 0.361
O: 0.500 0.863 0.364
O: 0.359 0.496 0.364
O: 0.129 0.491 0.861
O: 0.361 0.871 0.861
O: 0.507 0.639 0.863
O: 0.022 0.826 0.410
O: 0.807 0.984 0.411
O: 0.182 0.189 0.411
O: 0.013 0.191 0.909
O: 0.178 0.987 0.910
O: 0.808 0.823 0.910
O: 0.970 0.166 0.584
O: 0.197 0.030 0.584
O: 0.833 0.804 0.584
O: 0.966 0.807 0.090
O: 0.838 0.028 0.090
O: 0.195 0.163 0.091
O: 0.675 0.156 0.745
O: 0.480 0.324 0.745
O: 0.845 0.520 0.745
O: 0.688 0.529 0.243
O: 0.851 0.329 0.244
O: 0.474 0.156 0.244
O: 0.638 0.495 0.923
O: 0.859 0.364 0.924
O: 0.505 0.142 0.923
O: 0.631 0.139 0.422
O: 0.503 0.360 0.423
O: 0.860 0.497 0.422
O: 0.355 0.492 0.076
O: 0.140 0.652 0.078
O: 0.518 0.855 0.077
O: 0.355 0.858 0.577
O: 0.504 0.645 0.577
O: 0.141 0.496 0.577
O: 0.299 0.825 0.257
O: 0.528 0.697 0.258
O: 0.171 0.477 0.257
O: 0.314 0.484 0.759
O: 0.169 0.686 0.759
O: 0.517 0.830 0.759


2.
Na2MgTaP3O12: optimized geometry, GGA-PBE.

Computed properties:
VASP energy: -7.28 eV per atom
ρ: 3.54 g cm⁻³
Spin magnetization: 0.00 μB per formula unit

a b c (Å): 8.848 8.800 22.315
angles (deg): 90.00 90.22 119.82
Element x y z (fractional)
Na: 0.989 0.633 0.247
Na: 0.989 0.355 0.747
Na: 0.655 0.967 0.580
Na: 0.655 0.689 0.080
Na: 0.322 0.300 0.913
Na: 0.322 0.022 0.413
Na: 0.997 0.001 0.492
Na: 0.997 0.996 0.992
Na: 0.664 0.334 0.825
Na: 0.664 0.330 0.325
Na: 0.330 0.667 0.158
Na: 0.330 0.663 0.658
Mg: 0.994 0.000 0.353
Mg: 0.994 0.994 0.853
Mg: 0.661 0.334 0.686
Mg: 0.661 0.327 0.186
Mg: 0.328 0.667 0.019
Mg: 0.328 0.661 0.519
Ta: 0.005 0.997 0.646
Ta: 0.005 0.007 0.146
Ta: 0.671 0.331 0.980
Ta: 0.671 0.340 0.480
Ta: 0.338 0.664 0.313
Ta: 0.338 0.674 0.813
P: 0.295 0.005 0.254
P: 0.711 0.711 0.251
P: 0.997 0.290 0.253
P: 0.295 0.290 0.754
P: 0.997 0.707 0.753
P: 0.711 0.001 0.751
P: 0.962 0.339 0.587
P: 0.378 0.044 0.584
P: 0.664 0.623 0.586
P: 0.962 0.623 0.087
P: 0.664 0.041 0.086
P: 0.378 0.334 0.084
P: 0.628 0.672 0.921
P: 0.045 0.377 0.917
P: 0.331 0.957 0.920
P: 0.628 0.956 0.421
P: 0.331 0.374 0.420
P: 0.045 0.667 0.417
O: 0.210 0.020 0.310
O: 0.827 0.798 0.304
O: 0.979 0.183 0.307
O: 0.210 0.190 0.810
+++
Solution:
1.
Na15Mg7Ta5P18O72: optimized geometry, GGA-PBE.

Computed properties:
VASP energy: -7.09 eV per atom
ρ: 3.42 g cm⁻³
Spin magnetization: 0.00 μB per formula unit
Symmetry: P1, No. 1

a b c (Å): 8.891 8.854 22.276
angles (deg): 89.96 90.20 119.84
Element x y z (fractional)
Na: 0.987 0.631 0.245
Na: 0.648 0.636 0.748
Na: 0.988 0.351 0.748
Na: 0.364 0.012 0.748
Na: 0.296 0.334 0.585
Na: 0.039 0.705 0.586
Na: 0.666 0.962 0.585
Na: 0.655 0.689 0.079
Na: 0.320 0.024 0.412
Na: 0.989 0.999 0.495
Na: 0.010 0.009 0.989
Na: 0.667 0.333 0.833
Na: 0.664 0.330 0.323
Na: 0.331 0.667 0.156
Na: 0.334 0.667 0.663
Mg: 0.994 0.000 0.352
Mg: 0.000 0.000 0.853
Mg: 0.000 0.000 0.651
Mg: 0.667 0.333 0.684
Mg: 0.661 0.327 0.185
Mg: 0.327 0.666 0.019
Mg: 0.334 0.667 0.516
Ta: 0.004 0.007 0.145
Ta: 0.666 0.330 0.979
Ta: 0.672 0.338 0.478
Ta: 0.338 0.665 0.312
Ta: 0.333 0.666 0.819
P: 0.294 0.006 0.254
P: 0.713 0.711 0.251
P: 0.997 0.288 0.253
P: 0.293 0.294 0.750
P: 0.001 0.707 0.750
P: 0.705 0.999 0.750
P: 0.961 0.335 0.585
P: 0.374 0.040 0.584
P: 0.665 0.626 0.585
P: 0.960 0.622 0.087
P: 0.663 0.042 0.086
P: 0.379 0.335 0.085
P: 0.630 0.670 0.921
P: 0.041 0.371 0.920
P: 0.329 0.959 0.920
P: 0.628 0.956 0.419
P: 0.330 0.373 0.420
P: 0.043 0.668 0.418
O: 0.211 0.020 0.311
O: 0.826 0.796 0.305
O: 0.978 0.183 0.307
O: 0.206 0.176 0.803
O: 0.971 0.794 0.803
O: 0.823 0.029 0.803
O: 0.769 0.954 0.691
O: 0.185 0.231 0.691
O: 0.045 0.815 0.691
O: 0.796 0.827 0.193
O: 0.028 0.200 0.195
O: 0.166 0.969 0.198
O: 0.880 0.364 0.640
O: 0.486 0.123 0.639
O: 0.637 0.516 0.641
O: 0.877 0.524 0.144
O: 0.644 0.127 0.140
O: 0.491 0.364 0.139
O: 0.467 0.303 0.028
O: 0.832 0.531 0.031
O: 0.694 0.160 0.028
O: 0.472 0.160 0.527
O: 0.688 0.524 0.529
O: 0.837 0.313 0.529
O: 0.543 0.687 0.976
O: 0.152 0.463 0.973
O: 0.314 0.850 0.973
O: 0.545 0.858 0.476
O: 0.311 0.454 0.476
O: 0.150 0.693 0.474
O: 0.133 0.638 0.361
O: 0.500 0.863 0.364
O: 0.359 0.496 0.364
O: 0.129 0.491 0.861
O: 0.361 0.871 0.861
O: 0.507 0.639 0.863
O: 0.022 0.826 0.410
O: 0.807 0.984 0.411
O: 0.182 0.189 0.411
O: 0.013 0.191 0.909
O: 0.178 0.987 0.910
O: 0.808 0.823 0.910
O: 0.970 0.166 0.584
O: 0.197 0.030 0.584
O: 0.833 0.804 0.584
O: 0.966 0.807 0.090
O: 0.838 0.028 0.090
O: 0.195 0.163 0.091
O: 0.675 0.156 0.745
O: 0.480 0.324 0.745
O: 0.845 0.520 0.745
O: 0.688 0.529 0.243
O: 0.851 0.329 0.244
O: 0.474 0.156 0.244
O: 0.638 0.495 0.923
O: 0.859 0.364 0.924
O: 0.505 0.142 0.923
O: 0.631 0.139 0.422
O: 0.503 0.360 0.423
O: 0.860 0.497 0.422
O: 0.355 0.492 0.076
O: 0.140 0.652 0.078
O: 0.518 0.855 0.077
O: 0.355 0.858 0.577
O: 0.504 0.645 0.577
O: 0.141 0.496 0.577
O: 0.299 0.825 0.257
O: 0.528 0.697 0.258
O: 0.171 0.477 0.257
O: 0.314 0.484 0.759
O: 0.169 0.686 0.759
O: 0.517 0.830 0.759


2.
Na2MgTaP3O12: optimized geometry, GGA-PBE.

Computed properties:
VASP energy: -7.28 eV per atom
ρ: 3.54 g cm⁻³
Spin magnetization: 0.00 μB per formula unit

a b c (Å): 8.848 8.800 22.315
angles (deg): 90.00 90.22 119.82
Element x y z (fractional)
Na: 0.989 0.633 0.247
Na: 0.989 0.355 0.747
Na: 0.655 0.967 0.580
Na: 0.655 0.689 0.080
Na: 0.322 0.300 0.913
Na: 0.322 0.022 0.413
Na: 0.997 0.001 0.492
Na: 0.997 0.996 0.992
Na: 0.664 0.334 0.825
Na: 0.664 0.330 0.325
Na: 0.330 0.667 0.158
Na: 0.330 0.663 0.658
Mg: 0.994 0.000 0.353
Mg: 0.994 0.994 0.853
Mg: 0.661 0.334 0.686
Mg: 0.661 0.327 0.186
Mg: 0.328 0.667 0.019
Mg: 0.328 0.661 0.519
Ta: 0.005 0.997 0.646
Ta: 0.005 0.007 0.146
Ta: 0.671 0.331 0.980
Ta: 0.671 0.340 0.480
Ta: 0.338 0.664 0.313
Ta: 0.338 0.674 0.813
P: 0.295 0.005 0.254
P: 0.711 0.711 0.251
P: 0.997 0.290 0.253
P: 0.295 0.290 0.754
P: 0.997 0.707 0.753
P: 0.711 0.001 0.751
P: 0.962 0.339 0.587
P: 0.378 0.044 0.584
P: 0.664 0.623 0.586
P: 0.962 0.623 0.087
P: 0.664 0.041 0.086
P: 0.378 0.334 0.084
P: 0.628 0.672 0.921
P: 0.045 0.377 0.917
P: 0.331 0.957 0.920
P: 0.628 0.956 0.421
P: 0.331 0.374 0.420
P: 0.045 0.667 0.417
O: 0.210 0.020 0.310
O: 0.827 0.798 0.304
O: 0.979 0.183 0.307
O: 0.210 0.190 0.810